MACDILL AIR FORCE BASE, Fla. -- Growing up in the small town of Clinton, Iowa, Airman 1st Class Devin Matheny, an aerospace ground equipment apprentice assigned to the 6th Maintenance Squadron, never dreamed she would one day be in the military.
“My mom was a teacher,” said Matheny. “I thought I might someday be a teacher too.”
Everything changed when her brother, Kyle, joined the Air Force as a security forces defender in 2010.
“I’ve always been close to my brother and looked up to him, so when he joined the Air Force, I decided I wanted to follow in his footsteps,” said Matheny.
In addition to her brother, Matheny’s grandfather served in the Air Force, which further influenced her decision to join.
“My family is very proud of the path I am on,” said Matheny. “I needed a change in my life after going from one job to another, and the Air Force was that change for me.”
Following her high school graduation, Matheny held various jobs, but she says she never found the career that satisfied her.
“I was a bank teller, waitress, lifeguard and bartender to name a few,” said Matheny.
Data records, as found in the file
-- begin --
{"formula": "InPO4", "functional": "PBE", "state": "relaxed", "cell": [[2.6911, -4.0804, 0.0000], [2.6911, 4.0804, 0.0000], [0.0000, 0.0000, 6.9284]], "species": ["In", "In", "P", "P", "O", "O", "O", "O", "O", "O", "O", "O"], "frac_coords": [[0.0000, 0.0000, 0.0000], [0.0000, 0.0000, 0.5000], [0.3499, 0.6501, 0.7500], [0.6501, 0.3499, 0.2500], [0.2250, 0.2980, 0.7500], [0.2519, 0.7481, 0.5624], [0.2519, 0.7481, 0.9376], [0.2980, 0.2250, 0.2500], [0.7020, 0.7750, 0.7500], [0.7481, 0.2519, 0.0624], [0.7481, 0.2519, 0.4376], [0.7750, 0.7020, 0.2500]], "e_form_mev_per_atom": -2473, "dft_energy_ev_per_atom": -6.675, "crystal_system": "orthorhombic"}
-- stop --
Despite the differences between each occupation, they all shared one commonality – customer service.
Now, as an Airman, she serves the Air Force and her country is her sole customer.
“I’m glad I get to contribute to the mission,” said Matheny. “Without us, planes can’t fly and it’s rewarding to be a part of what makes that happen.”
According to Matheny, the Air Force has given her more than just a career. It has given her opportunities.
“The Air Force has allowed me to travel, make new friends, and have benefits that could one day support a family,” said Matheny.
In the past year of service, Matheny graduated Air Force Basic Military Training, finished her technical training, and arrived to MacDill Air Force Base, Florida. She is proud she is able to do something she loves.
“The one thing I have noticed about Matheny is her work ethic; she is a hard worker,” said Senior Master Sgt. Scott Marshall, the AGE flight chief with the 6th MXS. “I usually see her covered in dirt and yet, she remains positive and always has a smile on her face.”
Marshall also added that maintaining a positive attitude can be increasingly difficult because the 6th MXS AGE career field has many opposing factors.
“We work constantly in hot conditions living in Tampa,” said Marshall. “This job can be uncomfortable, frustrating and even challenging, but that’s why it is refreshing to see an Airman who can stay positive when faced with tremendous adversity.”
Even when covered in dirt and oil, Matheny’s persistent optimism shines through.
“I am just happy to have a job where I get to work on something different every day and I enjoy what I am able to do and accomplish,” said Matheny.
In the beginning, Matheny started her Air Force journey following in her brother and grandfather’s footsteps, but now, she is paving her own path to becoming a model Airman for her peers and future Airmen.